== Activity ==
Next, find "O19 0.9158" and "29.15°," in the block below, and print these two lines and those between.
== Data ==
<<<
# 1
V5W3O20: calculated PXRD pattern (Cu Kα), based on a cell relaxed with GGA+U.
Neutral-atom scattering factors, no anomalous dispersion.

Cell and atoms:
```
data_V5W3O20
_space_group_name_H-M_alt 'P 1'
_space_group_IT_number 1
_space_group_name_Hall 'P 1'
_cell_length_a 4.1179
_cell_length_b 7.5652
_cell_length_c 12.8189
_cell_angle_alpha 72.91
_cell_angle_beta 89.28
_cell_angle_gamma 89.94
loop_
_atom_site_label
_atom_site_fract_x
_atom_site_fract_y
_atom_site_fract_z
V1 0.0000 0.0000 0.0000
V2 0.0019 0.0066 0.4864
V3 0.0158 0.5091 0.9834
V4 0.8036 0.8550 0.2922
V5 0.8207 0.3454 0.8027
W1 0.8188 0.3569 0.2849
W2 0.8321 0.8581 0.7896
W3 0.9789 0.5039 0.4982
O1 0.3868 0.3543 0.2948
O2 0.3962 0.0110 0.9883
O3 0.3968 0.0008 0.4977
O4 0.4013 0.8504 0.7967
O5 0.4065 0.8592 0.2892
O6 0.4098 0.5046 0.4898
O7 0.4113 0.4974 0.9938
O8 0.4312 0.3573 0.7897
O9 0.8926 0.4317 0.1404
O10 0.8947 0.2762 0.4612
O11 0.8951 0.7641 0.4599
O12 0.9022 0.0946 0.3239
O13 0.9025 0.5836 0.3244
O14 0.9034 0.9266 0.6439
O15 0.9062 0.2673 0.9533
O16 0.9103 0.0973 0.8131
O17 0.9152 0.9330 0.1369
O18 0.9158 0.5885 0.8203
O19 0.9158 0.7809 0.9555
O20 0.9195 0.4309 0.6465
```

Main lines, by angle (5 to 70 degrees two-theta):
- 2θ = 12.25°, I = 26
- 2θ = 14.46°, I = 36
- 2θ = 15.96°, I = 44
- 2θ = 21.59°, I = 100
- 2θ = 24.63°, I = 70
- 2θ = 26.23°, I = 27
- 2θ = 29.15°, I = 36
- 2θ = 32.26°, I = 46
- 2θ = 32.91°, I = 43
- 2θ = 48.12°, I = 22

=====

# 2
Ca3Si4Mo2O14: calculated PXRD pattern (Cu Kα), based on a cell relaxed with GGA+U.
Neutral-atom scattering factors, no anomalous dispersion.

Cell and atoms:
```
data_Ca3Si4Mo2O14
_space_group_name_H-M_alt 'C 1 2/c 1'
_space_group_IT_number 15
_space_group_name_Hall '-C 2yc'
_cell_length_a 17.5502
_cell_length_b 7.8237
_cell_length_c 10.2926
_cell_angle_alpha 90.00
_cell_angle_beta 123.73
_cell_angle_gamma 90.00
loop_
_atom_site_label
_atom_site_fract_x
_atom_site_fract_y
_atom_site_fract_z
Ca1 0.0000 0.1661 0.2500
Ca2 0.2017 0.4598 0.4642
Si1 0.1292 0.1507 0.6497
Si2 0.1791 0.2091 0.1556
Mo1 0.0000 0.2948 0.7500
Mo2 0.0000 0.5000 0.0000
O1 0.0580 0.0825 0.6907
O2 0.0752 0.4943 0.7383
O3 0.0890 0.2899 0.5068
O4 0.1017 0.3250 0.0079
O5 0.1697 0.0079 0.0928
O6 0.1864 0.2107 0.3184
O7 0.2227 0.2213 0.8182
```

Main lines, by angle (5 to 70 degrees two-theta):
- 2θ = 12.13°, I = 70
- 2θ = 12.84°, I = 82
- 2θ = 21.51°, I = 34
- 2θ = 27.25°, I = 72
- 2θ = 28.11°, I = 77
- 2θ = 30.78°, I = 32
- 2θ = 30.97°, I = 65
- 2θ = 31.48°, I = 100
- 2θ = 34.91°, I = 35
- 2θ = 38.43°, I = 71

=====

# 3
Li3Fe8B8O24: calculated PXRD pattern (Cu Kα), based on a cell relaxed with GGA+U.
Neutral-atom scattering factors, no anomalous dispersion.

Cell and atoms:
```
data_Li3Fe8B8O24
_space_group_name_H-M_alt 'P 1'
_space_group_IT_number 1
_space_group_name_Hall 'P 1'
_cell_length_a 5.2277
_cell_length_b 5.2485
_cell_length_c 20.2301
_cell_angle_alpha 89.32
_cell_angle_beta 89.75
_cell_angle_gamma 60.77
loop_
_atom_site_label
_atom_site_fract_x
_atom_site_fract_y
_atom_site_fract_z
Li1 0.0000 0.0000 0.0000
Li2 0.0265 0.0227 0.7428
Li3 0.3418 0.6920 0.8751
Fe1 0.0003 0.3521 0.3872
Fe2 0.3473 0.3491 0.2624
Fe3 0.3584 0.3530 0.7603
Fe4 0.6620 0.0224 0.6347
Fe5 0.6653 0.6682 0.0170
Fe6 0.6740 0.0223 0.1383
Fe7 0.6751 0.6769 0.5103
Fe8 0.9965 0.3559 0.8873
B1 0.0085 0.3552 0.6364
B2 0.0114 0.3517 0.1402
B3 0.3296 0.3468 0.0138
B4 0.3350 0.3491 0.5116
B5 0.6700 0.0177 0.8876
B6 0.6725 0.0116 0.3877
B7 0.6735 0.6922 0.2635
B8 0.6790 0.6829 0.7609
O1 0.0779 0.3584 0.4889
O2 0.0853 0.3240 0.9956
O3 0.2726 0.3342 0.6555
O4 0.2737 0.3359 0.1625
O5 0.3229 0.6102 0.0093
O6 0.3728 0.5849 0.5106
O7 0.4047 0.2254 0.3616
O8 0.4048 0.7090 0.7687
O9 0.4224 0.2725 0.8658
O10 0.4407 0.6490 0.2613
O11 0.5570 0.0794 0.5363
O12 0.5873 0.0953 0.0363
O13 0.6512 0.7692 0.9039
O14 0.6638 0.9505 0.2412
O15 0.6852 0.7524 0.4114
O16 0.7017 0.9248 0.7366
O17 0.7868 0.6220 0.1196
O18 0.7907 0.6179 0.6093
O19 0.9051 0.0540 0.3909
O20 0.9313 0.4245 0.7766
>>>
== Completed ==
O19 0.9158 0.7809 0.9555
O20 0.9195 0.4309 0.6465
```

Main lines, by angle (5 to 70 degrees two-theta):
- 2θ = 12.25°, I = 26
- 2θ = 14.46°, I = 36
- 2θ = 15.96°, I = 44
- 2θ = 21.59°, I = 100
- 2θ = 24.63°, I = 70
- 2θ = 26.23°, I = 27
- 2θ = 29.15°, I = 36